I’ve learnt quite a bit with the use of the keywords dictionary and I now have better knowledge about key media terms. Additionally I’ve learnt a lot doing my independent study.
Effort = 2
I’ve put a lot of effort into my blog’s, presentations and other homework’s. Although my Med 6 blog should have a few more news stories.
Punctuality = 1
I’m always on time.
Submission and Quality of homework = 1
It’s always on time and up to a good standard.
Ability to work independently = 1
I work really well on my own.
Quality of writing = 1
I have a good vocabulary of media terms.
Organization of Media folder = 3
I only bought one recently and am still in the process of putting sheets into it.
Oral contribution in class = 1
I always ask questions, contribute in discussions and I am quite opinionated so I tend to want to discuss other people’s opinions.
Standard of Module 5 Blog = 1
I have done all the work set as well as doing my own self-directed research.
Standard of Module 6 Blog = 2
I’ve done all the work set, although I haven’t updated my blog with news stories as I should have.
The rival or opposing figure in a narrative set againest the protagonist. Within Sin City, there are quite a few antagonists.
Anti narrative
A non-linear narrative, where by there are flashbacks and an altered time sequence. This can be seen in Sin City as it has 3 intertwining non-linear narratives.
An often repeated character within a genre. The film noir and neo noir genre continue to have a detective and a femme fetale.
The engima code, it is present throughout Sin City as the narrative is non-linear.
Anthology Film
A film consisting of several different short films, often tied together by a single theme or by an interlocking event. Somtimes, each short film is directed by a different director. Sin City is an anthology film, addtionally there were 3 directors.
Ideological state apparatus
Where instutions which are established, control the state and mind set by using their brand name power, additionally they reinforce certain ideologies. The Weinstein brothers own Demension films, which means they can reinforce the same continous ideologies, for example the objectifaction of women.
If you repeat shootings, famine and images of war continously means this constant exposure numbs audiences down. Sin City shows death repeatidly, shootings and audiences are almost normal to see it.
### The page is interrupted by calculated crystals
<<<
Record 1
Below is a geometry-optimized PrTmAl structure, with properties calculated at the PBE-GGA level.

Results
**DFT total energy**: -27.3 eV for the cell shown
**E_form**: -20.9 kJ per mole of atoms
**Density of states at the Fermi level**: 1.198 states/eV/atom
**Energy above the lowest structure with this stoichiometry**: 0.3 meV per atom
**Calculated volume**: 82.6 Å³/f.u.

Lattice parameters (Å, degrees): 5.3264 5.3264 6.7245 90.00 90.00 120.00
Space group P6_3/mmc (No. 194)
Inequivalent atoms, fractional coordinates:
1 Pr 0.0000 0.0000 0.0000 (multiplicity 2)
2 Tm 0.3333 0.6667 0.2500 (multiplicity 2)
3 Al 0.3333 0.6667 0.7500 (multiplicity 2)

Record 2
Below is a geometry-optimized In2PtPb structure, with properties calculated at the PBE-GGA level.

Results
**DFT total energy**: -31.7 eV for the cell shown
**E_form**: -14.7 kJ per mole of atoms
**Density of states at the Fermi level**: 0.499 states/eV/atom
**Calculated volume**: 94.5 Å³/f.u.

Lattice parameters (Å, degrees): 4.651 4.748 8.561 90.00 90.00 90.00
Space group Cmmm (No. 65)
Inequivalent atoms, fractional coordinates:
1 In 0.000 0.000 0.194 (multiplicity 4)
2 Pt 0.000 0.500 0.000 (multiplicity 2)
3 Pb 0.000 0.500 0.500 (multiplicity 2)

Record 3
Below is a geometry-optimized YZnIrRu structure, with properties calculated at the PBE-GGA level.

Results
**DFT total energy**: -54.1 eV for the cell shown
**E_form**: -28.1 kJ per mole of atoms
**Density of states at the Fermi level**: 0.869 states/eV/atom
**Energy above the lowest structure with this stoichiometry**: 22.6 meV per atom
**Calculated volume**: 77.3 Å³/f.u.

Lattice parameters (Å, degrees): 7.577 4.373 5.302 90.00 118.42 90.00
Space group Cm (No. 8)
Inequivalent atoms, fractional coordinates:
1 Y 0.000 0.000 0.000 (multiplicity 2)
2 Zn 0.295 0.500 0.387 (multiplicity 2)
3 Ir 0.036 0.500 0.610 (multiplicity 2)
4 Ru 0.200 0.000 0.603 (multiplicity 2)

Record 4
Below is a geometry-optimized SrCo2P structure, with properties calculated at the PBE-GGA level.

Results
**DFT total energy**: -19.4 eV for the cell shown
**E_form**: 45.1 kJ per mole of atoms
**Density of states at the Fermi level**: 1.088 states/eV/atom
**Calculated volume**: 67.5 Å³/f.u.

Lattice parameters (Å, degrees): 4.147 4.147 3.927 90.00 90.00 90.00
Space group P4/mmm (No. 123)
Inequivalent atoms, fractional coordinates:
1 Sr 0.000 0.000 0.000 (multiplicity 1)
2 Co 0.000 0.500 0.500 (multiplicity 2)
3 P 0.500 0.500 0.000 (multiplicity 1)

Record 5
Below is a geometry-optimized Li4NpU3S8 structure, with properties calculated at the PBE-GGA level.

Results
**Formation energy from raw total energies**: -1.37 eV per atom
**DFT total energy**: -328.3 eV for the cell shown
**Density of states at the Fermi level**: 1.204 states/eV/atom
**Calculated volume**: 323.9 Å³/f.u.

Lattice parameters (Å, degrees): 7.7221 7.7221 18.8192 90.00 90.00 120.00
Space group R-3m (No. 166, hexagonal axes)
Inequivalent atoms, fractional coordinates:
>>>
Binary oppositions. Sin City has quite a few, Marv and Kevin for example.
Women are used for a visual purpose soley. Jessica Alba in Sin City is a passive character and is only there to be objectified and for voyeuristic pleasure.
A person who watches someone whilst being in a non-involved position and for reasons of self gratification. The women in Sin City are there for voyeuristic pleasure.
Equilbirum, Dis-equilbrium and New Equilibrium. Sin City subverts his theory.
The clip of ‘Sin City’ (2005) that I have chosen to analyze can be seen as a scene of resolution. However, the enigma code (Bathes) is invoked as Marv leaves Goldie unconscious. The resolution occurs when Marv kills Kevin, the audience can immediately distinguish the proppian hero and villain.
Marv is represented as an anti-hero, this is due to the fact that he smokes and kills without hesitation therefore he does not conform to the stereotypical ideologies that a passive audience would assume him to be like. Despite this the audience can easily identify with him due to the fact that a series of close-up shots allow the audience to view his emotional struggle in order to help another person.
Sin City follows the conventions of the neo-noir genre as it often uses a conflicted antihero, who can be identified as Marv. Another convention, which is used within newer neo-noir genre films, is the use of CGI graphics where by a digital background is used in order to create the visual aesthetics. For example, Kevin’s white glasses would have been added in the postproduction stages.
Non-diegetic sound is added in postproduction to create a comic book like feeling, this feeling is added to with the use of monochrome colour. Additionally, similar to a comic book, the use of narration allows the audience to understand the protagonist’s mindset, and how they’re feeling. It also allows the story to be developed, as enigmas are unravelled with the protagonist providing explanation. The voice-over narration adds to the authenticity of this comic book adaptation and follows the conventions of the neo-noir convention.
A patriarchal society is enforced due to the fact that Goldie needs Marv to save her day, which conforms the ideology of women to be subordinate to men. Goldie can be identified as the whore in Laura Mulvey’s theory of women being into two categorises, as she is visually pleasing for the audience. Thus, she is there to be objectified and has the quality of ‘to-be-looked-at-ness’.
The social ideology of homosexual’s is negative as they are portrayed as ‘girly’ and weak, for example the macho character (Marv) easily defeats the girly homosexual (Kevin). Additionally the ideology of homosexuals being girly is further reinforced due to the fact that Kevin uses his nails when fighting. This scene reinforces the ideology of a patriarchal society, and also stereotypes homosexuals in a negative manner.
Through this one scene in ‘Sin City’ (2005), it can be seen that that Marv is represented as an anti-hero rather than just a hero however; he still makes the proppian characters of the villain and hero very clear.
This is where the hero lacks the qualities the audience would normally associate with the hero. The audience do however still sympathise and can still see the story from their point of view.
BCU (Big Close-up) A close-up shot which focuses on emotion, where by the audience can empathise with the character. Within Sin City, many close-up's are used with the 3 protagonists.
Canted Shot (Dutch Angle)
A titled low-angle shot. This is a trademark of Film Noir/Neo Noir. Sin City uses numerous times, especially with Bruce Willis.
Where the plot is unravelled at the end of the film. The three narratives within Sin City unravell in front of the audience at the end.
Enigma Code
Created by Roland Barthes. The enigma code is where the audience are left asking questions. The non-linear narative structure within Sin City creates many questions.
Femme Fetale
In french film noir theory, a female character would use her sexuality in devious and secretive ways in order to achieve what she desires. The prostitute in Sin City convinces Marv to help protect them from the pimps.
When a character talks over a scence. In Sin City, many characters explain and express themselves with the use of narration.
New Ladism
The male backlash againest feminism. Sin City ignores female equality and creates many subordiant female characters.
Parallel Action
Where a film will cut in between scenes to show an intertwining narrative structure - Sin City.
Where the achievements of the uprising of female equality are ignored, for example the women in Sin City are shown as subordinant and as sex objects.